This Might Be Satire

I’ve tried to switch to Apple - and honestly? It sucks.

Things “just work” on Apple stuff, but generally not in a way that (to me) makes sense or works well. And the limited ability to customize stuff on Apple’s OSes, makes me avoid them entirely.

Pretty sure the number of Android users jealous of their Apple-using friends is a very very small number globally. I’ve always been team Android. Never even considered getting locked into Apple’s ecosystem and limited hardware and software (especially from a configuration standpoint — I don’t generally work “the Apple

You really dont know what you are missing until you free yourself from Apple’s walled garden......

Grow up. Literally no one but psychos gives a fuck what the “legal name” of the gun is.

I’m not going to watch his video but it doesn’t surprise me at all that he doesn’t see it that way. Most people do the terrible things that they do because they think they’re the good guy.

I’m ALREADY using Android. Matter of fact, I’ve been Android since my first smartphone. I refuse to use any Apple product I don’t absolutely HAVE to. They’re made to be PITAs.

Contrarily, your comment sounds like an Apple user who’s jealous their Android using friends. 🤷‍♀️

Ladies and Gentlemen, the Metaverse.

Controversial YouTuber”

Next to the text, the page also holds calculated crystals:
<<<
# Ni13As2
Simulated powder diffractogram, Cu Kα X-rays. Input: DFT lattice parameters and positions (GGA-PBE).
No peak broadening, texture or thermal motion is included.

Top 10 peaks for 2θ = 5–70°, in order of rising 2θ:
| d/Å | Position (°2θ) | Rel. int. |
| --- | --- | --- |
| 2.173 | 41.55 | 1 |
| 2.066 | 43.83 | 100 |
| 2.057 | 44.01 | 52 |
| 2.052 | 44.14 | 1 |
| 2.034 | 44.54 | 49 |
| 1.979 | 45.85 | 1 |
| 1.947 | 46.64 | 1 |
| 1.930 | 47.08 | 1 |
| 1.799 | 50.75 | 63 |
| 1.744 | 52.47 | 30 |

```
Ni13As2
1.0
4.3450 0.0000 0.0000
0.1484 6.2001 0.0000
0.6848 2.2433 6.2875
Ni As
13 2
Cartesian
0.0000 0.0000 0.0000 Ni
0.8112 2.0860 1.2710 Ni
1.4871 4.3397 5.0817 Ni
1.5365 4.1729 2.4933 Ni
2.2229 6.3688 6.2754 Ni
2.1420 6.3584 3.7639 Ni
2.3063 6.2180 1.2325 Ni
2.8719 2.2254 5.0550 Ni
3.0361 2.0850 2.5236 Ni
2.9553 2.0746 0.0121 Ni
3.6416 4.2705 3.7942 Ni
3.6910 4.1037 1.2058 Ni
4.3670 6.3574 5.0165 Ni
0.7935 2.3577 3.8587 As
4.3847 6.0857 2.4288 As
```


Record 1
Starting from a cell relaxed with PBE, the XRD peak list of LiTa2Mo was simulated for Cu Kα, 1.54184 Å.
Neutral-atom scattering factors, no anomalous dispersion.

Cell and atoms:
Lattice parameters (Å, degrees): 2.662 4.597 5.600 90.00 90.00 90.00
Positions (direct):
Li: 0.000 0.000 0.000
Ta: 0.000 0.000 0.495
Ta: 0.500 0.500 0.749
Mo: 0.500 0.500 0.260

Most intense lines, 15° ≤ 2θ ≤ 90°, in order of rising 2θ:
| two_theta | I_rel |
| --- | --- |
| 15.83 | 55 |
| 25.06 | 35 |
| 37.40 | 13 |
| 37.62 | 74 |
| 39.13 | 100 |
| 42.45 | 29 |
| 47.10 | 39 |
| 62.89 | 36 |
| 80.26 | 25 |
| 83.03 | 15 |

=====

Record 2
Starting from a cell relaxed with PBE, the XRD peak list of YHo5Sb4 was simulated for Cu Kα, 1.54184 Å.
Neutral-atom scattering factors, no anomalous dispersion.

Cell and atoms:
Lattice parameters (Å, degrees): 9.534 9.534 8.387 105.49 105.49 26.02
Positions (direct):
Y: 0.000 0.000 0.000
Ho: 0.000 0.000 0.500
Ho: 0.321 0.321 0.650
Ho: 0.337 0.337 0.179
Ho: 0.663 0.663 0.821
Ho: 0.679 0.679 0.350
Sb: 0.170 0.170 0.087
Sb: 0.491 0.491 0.741
Sb: 0.509 0.509 0.259
Sb: 0.830 0.830 0.913

Most intense lines, 15° ≤ 2θ ≤ 90°, in order of rising 2θ:
| two_theta | I_rel |
| --- | --- |
| 25.58 | 13 |
| 29.81 | 100 |
| 30.01 | 46 |
| 41.99 | 38 |
| 42.11 | 20 |
| 43.20 | 18 |
| 43.61 | 31 |
| 52.57 | 19 |
| 61.91 | 13 |
| 69.45 | 16 |

=====

Record 3
Starting from a cell relaxed with PBE, the XRD peak list of Mn3Se4I2 was simulated for Cu Kα, 1.54184 Å.
Neutral-atom scattering factors, no anomalous dispersion.

Cell and atoms:
Lattice parameters (Å, degrees): 3.711 3.711 20.310 90.00 90.00 120.00
Positions (direct):
Mn: 0.000 0.000 0.000
Mn: 0.333 0.667 0.346
Mn: 0.333 0.667 0.654
Se: 0.000 0.000 0.276
Se: 0.000 0.000 0.417
Se: 0.000 0.000 0.583
Se: 0.000 0.000 0.724
I: 0.333 0.667 0.093
I: 0.333 0.667 0.907

Most intense lines, 15° ≤ 2θ ≤ 90°, in order of rising 2θ:
| two_theta | I_rel |
| --- | --- |
| 26.33 | 25 |
| 27.76 | 82 |
| 28.11 | 56 |
| 32.98 | 80 |
| 35.62 | 57 |
>>>

I think the house style guide should allow you to just say “Mega-Asshole” instead.

There are so many things in the world to be mad about or try to fight back against. It’s deeply sad that this pyscho is hung up on a children’s game.

According to the Kenosha News, Rittenhouse wants the assault rifle back so it can be destroyed.

The page is interrupted by materials data >
~~~
(1)
LiFe2B2O6: computed powder XRD pattern (Cu Kα X-rays), based on DFT lattice parameters and positions (PBE+U).
Neutral-atom scattering factors, no anomalous dispersion.

The 10 most intense peaks (5 to 70 degrees two-theta), by intensity:
d [Å]	Position (°2θ)	Rel. int.	h k l
2.520	35.6	100	0 0 8
4.151	21.4	92	1 0 2
4.552	19.5	76	1 1 0
2.634	34.0	70	1 2 0
4.584	19.4	46	1 0 0
3.405	26.2	36	1 0 -4
3.425	26.0	35	0 1 4
1.528	60.6	33	3 0 0
4.167	21.3	30	1 1 2
2.653	33.8	30	1 -1 0

Atomic structure:
```
data_LiFe2B2O6
_cell_length_a 5.266
_cell_length_b 5.271
_cell_length_c 20.166
_cell_angle_alpha 88.99
_cell_angle_beta 89.92
_cell_angle_gamma 60.47
_symmetry_space_group_name_H-M 'P 1'
_symmetry_Int_Tables_number 1
loop_
_symmetry_equiv_pos_as_xyz
'x,y,z'
loop_
_atom_site_label
_atom_site_type_symbol
_atom_site_fract_x
_atom_site_fract_y
_atom_site_fract_z
_atom_site_occupancy
Li1 Li 0.000 0.000 0.000 1
Li2 Li 0.005 0.993 0.750 1
Li3 Li 0.678 0.295 0.369 1
Li4 Li 0.698 0.321 0.621 1
Fe1 Fe 0.012 0.648 0.133 1
Fe2 Fe 0.029 0.655 0.636 1
Fe3 Fe 0.332 0.327 0.510 1
Fe4 Fe 0.336 0.969 0.387 1
Fe5 Fe 0.350 0.335 0.011 1
Fe6 Fe 0.354 0.984 0.886 1
Fe7 Fe 0.667 0.673 0.261 1
Fe8 Fe 0.668 0.643 0.762 1
B1 B 0.009 0.649 0.386 1
B2 B 0.012 0.653 0.888 1
B3 B 0.333 0.328 0.262 1
B4 B 0.340 0.319 0.762 1
B5 B 0.342 0.991 0.136 1
B6 B 0.353 0.984 0.637 1
B7 B 0.673 0.661 0.513 1
B8 B 0.677 0.657 0.011 1
O1 O 0.049 0.893 0.893 1
O2 O 0.069 0.543 0.236 1
O3 O 0.083 0.005 0.645 1
O4 O 0.087 0.576 0.743 1
O5 O 0.114 0.942 0.128 1
O6 O 0.237 0.381 0.907 1
O7 O 0.265 0.397 0.409 1
O8 O 0.315 0.074 0.783 1
O9 O 0.322 0.254 0.117 1
O10 O 0.361 0.062 0.283 1
O11 O 0.370 0.229 0.614 1
O12 O 0.426 0.913 0.989 1
O13 O 0.451 0.927 0.490 1
O14 O 0.559 0.381 0.273 1
O15 O 0.607 0.727 0.653 1
O16 O 0.608 0.300 0.758 1
O17 O 0.610 0.770 0.162 1
O18 O 0.630 0.426 0.521 1
O19 O 0.693 0.394 0.011 1
O20 O 0.747 0.682 0.867 1
O21 O 0.772 0.618 0.364 1
O22 O 0.916 0.687 0.033 1
O23 O 0.942 0.633 0.529 1
O24 O 0.993 0.913 0.385 1
```

(2)
LiFe2B2O6: computed powder XRD pattern (Cu Kα X-rays), based on DFT lattice parameters and positions (PBE+U).
Neutral-atom scattering factors, no anomalous dispersion.

The 10 most intense peaks (5 to 70 degrees two-theta), by intensity:
d [Å]	Position (°2θ)	Rel. int.	h k l
4.142	21.5	100	1 1 2
2.544	35.3	65	0 0 4
4.535	19.6	51	0 2 1
2.624	34.2	48	-1 3 1
3.420	26.1	46	-1 1 2
3.373	26.4	34	1 -1 2
4.562	19.5	29	1 -1 0
1.849	49.3	20	1 1 6
2.640	34.0	20	2 0 1
2.213	40.8	19	0 4 3

Atomic structure:
```
data_LiFe2B2O6
_cell_length_a 5.280
_cell_length_b 9.070
_cell_length_c 11.409
_cell_angle_alpha 66.62
_cell_angle_beta 77.39
_cell_angle_gamma 89.82
_symmetry_space_group_name_H-M 'P 1'
_symmetry_Int_Tables_number 1
loop_
_symmetry_equiv_pos_as_xyz
'x,y,z'
loop_
_atom_site_label
_atom_site_type_symbol
_atom_site_fract_x
_atom_site_fract_y
_atom_site_fract_z
_atom_site_occupancy
Li1 Li 0.000 0.000 0.000 1
Li2 Li 0.070 0.370 0.244 1
~~~
The materials data stop here >

I bet McGyver could probably help out, or maybe Col. Steve Austin, or those kooky guys in Airwolf. 

Today’s news brought to you by the letters A, C, A and B.

This town sounds like the premise to a Knight Rider episode.

It can be both. It’s a police problem. It’s also a government problem. It’s a perfect example of the (broken) mentality that every problem can be solved by making it something that police deal with.

This isn’t a police problem. This is a town government problem using police to do the dirty work. While the particular cops involved share the blame, if they didn’t do it the town government would still find those who would.

== These data records were left in the piece by mistake ==
********
Calculated powder diffractogram
Compound: CrN2
Radiation: CuKα
Structure: a DFT-relaxed cell (GGA-PBE, the Materials Project)
Intensities are scaled so that the largest is 100.

Structure:
Unit cell a=5.5709 b=5.5709 c=5.5709 alpha=128.18 beta=77.51 gamma=126.73
Sites, in units of the cell vectors:
Cr 0.2500 0.2500 0.0000
Cr 0.7500 0.7500 0.0000
N 0.0994 0.1798 0.2792
N 0.4006 0.6798 0.0804
N 0.5994 0.3202 0.9196
N 0.9006 0.8202 0.7208

Largest 6 diffraction maxima, low angle first, 10° ≤ 2θ ≤ 80°:
| two_theta | I/Imax |
| --- | --- |
| 20.44 | 51 |
| 20.91 | 100 |
| 36.09 | 14 |
| 41.97 | 14 |
| 51.86 | 12 |
| 56.14 | 10 |



Calculated powder diffractogram
Compound: Te
Radiation: CuKα
Structure: a DFT-relaxed cell (GGA-PBE, the Materials Project)
Intensities are scaled so that the largest is 100.

Structure:
Unit cell a=4.5067 b=4.5067 c=5.9621 alpha=90.00 beta=90.00 gamma=120.00
Sites, in units of the cell vectors:
Te 0.0000 0.2691 0.3333
Te 0.2691 0.0000 0.6667
Te 0.7309 0.7309 0.0000

Largest 6 diffraction maxima, low angle first, 10° ≤ 2θ ≤ 80°:
| two_theta | I/Imax |
| --- | --- |
| 27.31 | 100 |
| 37.98 | 41 |
| 40.01 | 27 |
| 49.12 | 19 |
| 56.35 | 13 |
| 62.29 | 15 |



Calculated powder diffractogram
Compound: GeSbTe3
Radiation: CuKα
Structure: a DFT-relaxed cell (GGA-PBE, the Materials Project)
Intensities are scaled so that the largest is 100.

Structure:
Unit cell a=10.1659 b=10.1659 c=10.1659 alpha=23.88 beta=23.88 gamma=23.88
Sites, in units of the cell vectors:
Ge 0.0000 0.0000 0.0000
Sb 0.7999 0.7999 0.7999
Te 0.1948 0.1948 0.1948
Te 0.4005 0.4005 0.4005
Te 0.6157 0.6157 0.6157

Largest 6 diffraction maxima, low angle first, 10° ≤ 2θ ≤ 80°:
| two_theta | I/Imax |
| --- | --- |
| 28.77 | 100 |
| 39.20 | 37 |
| 43.00 | 35 |
| 52.56 | 18 |
| 64.76 | 13 |
| 70.17 | 15 |



Calculated powder diffractogram
Compound: K2Zn2Si8O19
Radiation: CuKα
Structure: a DFT-relaxed cell (GGA-PBE, the Materials Project)
Intensities are scaled so that the largest is 100.

Structure:
Unit cell a=7.4542 b=7.4542 c=12.5784 alpha=106.13 beta=106.13 gamma=40.54
Sites, in units of the cell vectors:
K 0.1230 0.1230 0.1487
K 0.8770 0.8770 0.8513
Zn 0.1635 0.2355 0.9113
Zn 0.7645 0.8365 0.0887
Si 0.2631 0.1449 0.6595
Si 0.3210 0.6743 0.3327
Si 0.3257 0.6790 0.6673
Si 0.3988 0.4552 0.0754
Si 0.5448 0.6012 0.9246
Si 0.6870 0.0612 0.5733
Si 0.8551 0.7369 0.3405
Si 0.9388 0.3130 0.4267
O 0.0107 0.8336 0.6259
O 0.0142 0.3355 0.5604
O 0.1403 0.4972 0.0335
O 0.1438 0.6415 0.3546
O 0.1664 0.9893 0.3741
O 0.1790 0.3102 0.7811
O 0.3456 0.6277 0.2009
O 0.3585 0.8562 0.6454
O 0.3723 0.6544 0.7991
O 0.3736 0.6264 0.0000
O 0.5028 0.8597 0.9665
O 0.5382 0.0440 0.6366
O 0.5484 0.3710 0.6006
O 0.6290 0.4516 0.3994
O 0.6645 0.9858 0.4396
O 0.6898 0.8210 0.2189
O 0.6990 0.1350 0.0716
O 0.8650 0.3010 0.9284
O 0.9560 0.4618 0.3634

Largest 6 diffraction maxima, low angle first, 10° ≤ 2θ ≤ 80°:
| two_theta | I/Imax |
| --- | --- |
| 24.90 | 36 |
| 25.79 | 22 |
| 26.43 | 100 |
********

Well this is a good regular reminder that ACAB.

Police in the US have been out of control for a long, long time. This is just an extremely obvious example of it.

Boss Hogg never thought of civil forfeiture or the general lee and uncle Jesse’s farm would have been seized and sold at auction.